File:
~~~
A molecular structure, C21H19FeNO2 at a distorted geometry. Source: the OMol25 dataset; level of theory: ωB97M-V/def2-TZVPD.

Each line ends with the Mulliken spin population.
Element x y z (Å)
H1 -0.9248 1.5256 -1.4864  -0.017
C1 1.1119 -0.4609 1.5917  -0.048
C2 -1.4842 -1.6759 -1.9776  0.085
C3 -0.9615 2.6706 1.4634  0.011
H2 -1.9296 3.8505 3.0100  -0.001
C4 0.6137 -1.2216 2.6717  0.186
H3 0.5032 1.6287 -3.8593  0.011
H4 1.1432 -3.3026 -3.4285  0.017
O1 -3.3720 0.1936 1.2666  -0.003
H5 2.9380 0.3411 0.6810  0.078
C5 -3.3207 2.5232 1.9940  0.009
H6 -3.7129 2.3493 3.0099  -0.002
C6 2.8051 -1.2902 3.6769  0.262
C7 -0.0065 0.9844 -1.7440  -0.075
N1 -1.3552 1.3929 1.1890  0.053
H7 -0.1199 -3.2056 -0.9873  -0.013
H8 -0.8041 -0.5472 0.5621  -0.028
C8 -0.3645 -2.5957 -1.8623  0.079
C9 1.9147 0.1529 -2.8323  0.070
C10 1.4386 -1.6172 3.7006  -0.116
H9 -2.3486 4.3452 1.3281  -0.004
C11 2.5236 -0.1846 1.5379  0.208
H10 -0.4445 -1.5061 2.6522  0.031
Fe1 0.2167 -0.8132 -2.4554  2.734
H11 2.6294 -1.0757 -1.0838  -0.008
H12 3.4579 -1.5426 4.5265  0.031
C12 1.8841 -0.4025 -1.4980  -0.004
C13 -0.4199 -1.7813 -4.0696  -0.007
H13 4.4020 -0.3078 2.5704  -0.008
C14 0.3020 -2.6490 -3.1558  -0.021
C15 -2.1554 3.4955 1.9962  0.006
O2 0.1638 3.1650 1.3353  -0.009
C16 -1.5199 -1.1850 -3.3413  0.048
H14 -0.2313 -1.6713 -5.1457  0.027
C17 0.7438 1.0247 -2.9888  0.114
H15 -4.1415 2.8662 1.3427  -0.001
C18 0.2347 -0.1376 0.5279  0.332
H16 -2.2996 -0.5522 -3.7771  0.014
C19 0.7378 0.1856 -0.7678  0.101
H17 2.7165 0.0011 -3.5581  0.030
C20 -2.6971 1.2142 1.4347  -0.005
H18 1.0194 -2.1273 4.5660  -0.008
H19 -2.2318 -1.4599 -1.2063  -0.048
C21 3.3452 -0.5975 2.5908  -0.111

Results
2S+1: 5
Electronic energy (eV): -62051.8545
Orbital gap (alpha / beta) (eV): 3.71 / 5.51
Max |F| (eV/Å): 2.35
Net charge: -2

* * * * *

The following is a DFT calculation (ωB97M-V/def2-TZVPD) of a cluster of 4 separate species, C3H12O3 in total.

Each line ends with the Löwdin charge.
Element x y z (Å)
C (-0.04, -1.39, -1.38)  -0.101
C (0.11, -2.34, -0.21)  -0.235
C (0.26, -1.96, 1.06)  -0.029
H (0.32, -1.69, -2.36)  0.065
H (-1.04, -0.96, -1.41)  0.046
H (0.69, -0.62, -1.08)  0.081
H (0.19, -3.35, -0.57)  0.087
H (0.10, -2.72, 1.83)  0.050
H (0.10, -1.01, 1.55)  0.050
H (-1.97, 1.31, 0.21)  0.023
H (-1.65, 2.68, 0.09)  0.045
O (-1.50, 1.87, -0.42)  -0.065
H (-3.19, -0.23, -1.36)  0.011
H (-4.51, -0.20, -0.50)  0.014
O (-4.13, -0.02, -1.34)  -0.039
H (5.83, 3.71, 1.27)  0.048
H (4.82, 3.65, 2.52)  0.037
O (5.61, 3.26, 2.11)  -0.085

Properties
* E_HOMO: -9.78 eV
* energy relative to the best compared isomer or geometry (same formula, charge and spin): 1.621 eV
* max |F|: 2.43 eV/A
* orbital gap: 10.262 eV
* calculated total energy: -9446.40596 eV
* SMILES: C=CC.O.O.O
* 2S+1: 1

* * * * *

A single C3H5BrN2O2 molecule, computed with ωB97M-V/def2-TZVPD.

Geometry (Å):
C 1.979 -0.283 0.037
C 1.532 0.799 -0.706
C -0.399 -0.343 -0.720
N -1.541 -0.589 -0.128
N -2.203 0.341 0.757
O 1.199 -1.183 0.460
O 0.130 0.887 -0.754
Br -1.806 0.011 2.723
H 3.051 -0.067 0.324
H 2.125 1.707 -1.067
H -0.274 -1.074 -1.559
H -1.824 -1.520 0.062
H -1.970 1.315 0.573

Properties
Gap between HOMO and LUMO = 0.244 Eh
Charge = 0
E_HOMO = -7.52 eV



A 7-piece molecular cluster, C19H39NO20 overall, computed with ωB97M-V/def2-TZVPD.

Geometry (Å):
C 1.605 14.165 24.932
N 0.440 13.694 25.759
O 0.282 12.513 25.934
O -0.311 14.521 26.261
H 1.775 15.231 25.077
H 1.325 13.786 23.949
H 2.518 13.635 25.202
C 6.513 11.451 9.253
O 6.059 11.355 10.577
C 5.844 12.448 11.239
O 5.969 13.554 10.734
O 5.555 12.118 12.543
C 5.146 13.090 13.500
H 7.516 11.876 9.216
H 5.846 12.077 8.660
H 6.588 10.470 8.784
H 4.466 12.651 14.230
H 4.519 13.867 13.061
H 6.049 13.400 14.026
C 7.422 14.637 19.969
O 6.398 15.567 20.270
C 6.515 16.864 19.929
O 7.332 17.447 19.173
O 5.503 17.529 20.558
C 5.186 18.867 20.442
H 6.927 13.683 19.788
H 8.156 14.550 20.771
H 7.886 14.879 19.013
H 4.120 19.034 20.594
H 5.441 19.475 19.575
~~~

To do:
Your job: find the line further up that holds "(0.19, -3.35,", then quote that line and all lines after it there.

Written answer:
H (0.19, -3.35, -0.57)  0.087
H (0.10, -2.72, 1.83)  0.050
H (0.10, -1.01, 1.55)  0.050
H (-1.97, 1.31, 0.21)  0.023
H (-1.65, 2.68, 0.09)  0.045
O (-1.50, 1.87, -0.42)  -0.065
H (-3.19, -0.23, -1.36)  0.011
H (-4.51, -0.20, -0.50)  0.014
O (-4.13, -0.02, -1.34)  -0.039
H (5.83, 3.71, 1.27)  0.048
H (4.82, 3.65, 2.52)  0.037
O (5.61, 3.26, 2.11)  -0.085

Properties
* E_HOMO: -9.78 eV
* energy relative to the best compared isomer or geometry (same formula, charge and spin): 1.621 eV
* max |F|: 2.43 eV/A
* orbital gap: 10.262 eV
* calculated total energy: -9446.40596 eV
* SMILES: C=CC.O.O.O
* 2S+1: 1

* * * * *

A single C3H5BrN2O2 molecule, computed with ωB97M-V/def2-TZVPD.

Geometry (Å):
C 1.979 -0.283 0.037
C 1.532 0.799 -0.706
C -0.399 -0.343 -0.720
N -1.541 -0.589 -0.128
N -2.203 0.341 0.757
O 1.199 -1.183 0.460
O 0.130 0.887 -0.754
Br -1.806 0.011 2.723
H 3.051 -0.067 0.324
H 2.125 1.707 -1.067
H -0.274 -1.074 -1.559
H -1.824 -1.520 0.062
H -1.970 1.315 0.573

Properties
Gap between HOMO and LUMO = 0.244 Eh
Charge = 0
E_HOMO = -7.52 eV



A 7-piece molecular cluster, C19H39NO20 overall, computed with ωB97M-V/def2-TZVPD.

Geometry (Å):
C 1.605 14.165 24.932
N 0.440 13.694 25.759
O 0.282 12.513 25.934
O -0.311 14.521 26.261
H 1.775 15.231 25.077
H 1.325 13.786 23.949
H 2.518 13.635 25.202
C 6.513 11.451 9.253
O 6.059 11.355 10.577
C 5.844 12.448 11.239
O 5.969 13.554 10.734
O 5.555 12.118 12.543
C 5.146 13.090 13.500
H 7.516 11.876 9.216
H 5.846 12.077 8.660
H 6.588 10.470 8.784
H 4.466 12.651 14.230
H 4.519 13.867 13.061
H 6.049 13.400 14.026
C 7.422 14.637 19.969
O 6.398 15.567 20.270
C 6.515 16.864 19.929
O 7.332 17.447 19.173
O 5.503 17.529 20.558
C 5.186 18.867 20.442
H 6.927 13.683 19.788
H 8.156 14.550 20.771
H 7.886 14.879 19.013
H 4.120 19.034 20.594
H 5.441 19.475 19.575